Transportation Planning
Planning of the roadway network with respect to functional classification, alignment, intersection spacing, signalization, emergency management, and traffic control is accomplished as a part of the County's formal Engineering and Development Review services. Transportation planning is a key element in the Comprehensive Land Use Plan, which discusses the County's position on Transportation and provides a listing of new and improved road needs. Other activities performed by the Department such as traffic accident analysis, vehicle counting programs and the County-wide mapping project are instrumental in assuring proper planning is being performed to provide adequate public facilities. Planning will be coordinated with the Town of Leonardtown, particularly as needs emerge for supplemental town bypasses and interconnections between the Governmental Center and the undeveloped lands east of Leonardtown. View a brief history of the development of our roadways since 1639 here.
Sustainable Transportation
Many communities have reached a crossroads. If they build a new highway, traffic will stop backing up--at least that's the initial rationale. Citizens will stop calling to complain. Everyone presumably will be satisfied--for a while. This "solution," however, is short-lived. When pavement is laid, more vehicles come. With more vehicles, comes more smog. Autos are a major contributor to global warming. Their pollution also causes severe health problems for many. Traffic congestion, already costing us an estimated $168 billion annually in lost productivity, is expected to triple in coming years, wasting more productivity and fuel and worsening our air quality.
Our auto habits have caused increasing dependency on oil imports, much of it coming from unstable parts of the world. In 1970, 23 percent of America's petroleum was imported. Today, we import more than 54 percent of our petroleum needs, and this number is estimated to reach more than 60 percent by 2010. The cost of oil imports to U.S. consumers totals some $50 billion annually. And in addition to the cost of oil imports, the cost of productivity loss, and the cost of congestion, we must add other social costs of transportation, such as traffic deaths and injuries, and pollution Some communities have found a promising new course for handling growth and their transportation problems. Planners refer to these ideas as "livable" or "sustainable" communities. By whatever name, these plans focus on people, rather than on cars.
Creating sustainable transport systems that meet people's needs equitably and foster a healthy environment requires putting the automobile back into its useful place as a servant. With a shift in priorities, cars can be part of a broad, balanced system in which public transport, cycling, and walking are all viable options.
Alternatives to the Automobile: Transport for Livable Cities, 1990, Worldwatch Institute
System Performance Outcomes
The following represents desired outcomes of our transportation system:
Desired Outcome | Definition |
Mobility/Accessibility | Reaching desired destinations with relative ease within a reasonable time, at a reasonable cost with reasonable choices. |
Reliability | Providing reasonable and dependable levels of service by mode. |
Cost-Effectiveness | Maximizing the current and future benefits from public and private transportation investments. |
Customer Satisfaction | Providing transportation choices that are safe, convenient, affordable, comfortable, and meet customers' needs. |
Economic Well-Being | Contributing to Southern Maryland's economic growth. |
Sustainability | Preserving the transportation system while meeting the needs of the present without compromising the ability of future generations to meet their own needs. |
Environmental Quality | Helping to maintain and enhance the quality of the natural and human environment. |
Safety and Security | Minimizing the risk of death, injury, or property loss. |
Equity | Fair distribution of benefits and burdens. |
Comprehensive Plan
On February 19, 2002 the Commissioners of St. Mary's County adopted the updated Comprehensive Land Use Plan--A Strategy for the 21st Century. This plan is more than just a statement of the County's public policy; it attempts to address many issues, which affect our quality of life and the attainment of a Community Vision. Transportation planning is discussed within the Chapter IV text and requires the County to (1) "effect improvements and additions to the road network to correspond to and support the infrastructure needs in growth areas; (2) to ensure adequate highway and road system capacity; (3) to provide planned level of service for existing and proposed land uses; and (4) to address adequate facilities outside the growth areas." In addition, we are to ensure that "adequate travel lane widths for school buses, fire, rescue and moving vehicles" are provided while simultaneously maintaining a rural character.
County-Wide Transportation Plan
The Division routinely conducts planning and engineering studies of the existing County roadway networks, and establishes quantitative processes for prioritization / implementation of improvements, and evaluates hazardous locations and features in order to develop the County's annual Capital Highway Safety Improvement Program (HSIP). As a part of this process engineers research, inventory, collect and map accidents, perform vehicle/traffic counts, evaluate signalization warrants, levels of service, maintenance records, planned development, State improvements, current zoning etc. On August 29, 2006 the Commissioners of St. Mary's County adopted the St. Mary's County Transportation Plan which superseded the prior Lexington Park Transportation Plan Update.
The consolidated transportation plan provides an integrated multi-modal approach and evaluation of; motor vehicle safety, mass transit and light rail demand, park and ride facilities, recommendations for roadway maintenance-safety-widening-roadway & intersection improvements-emergency evacuation routes, public landings-water access points-future ferry service, Amish and Mennonite communities, horse and buggy corridors, bicycles routes, pedestrian mobility (sidewalks and trails), waterways and air transportation while considering the cultural resources throughout the County through the year 2025. Copies of the plan may be obtained by contacting the Department of Public Works and Transportation at (301) 475-4200 or by referring to our St. Mary's County Transportation Plan August 2006.
Pedestrian and Bicycle Trails Plan
In 1995, the Governor signed into law the Bicycle and Pedestrian Access 2000 bill which included the implementation of a Retrofit Sidewalk Program and a state-wide bicycle map along state routes. Connecting and providing safe/convenient bicycle and pedestrian facilities to residential, employment, recreational, shopping and transit centers is an essential part of a well-planned transportation system. Access to historical sites, schools, libraries, hospitals, parks, piers and boat ramps should also be considered. In addition to the utilization of retrofit sidewalk monies, a full inventory of existing trails, sidewalks, paved shoulders planned bicycle networks and points of interest were developed as a part of the adopted 2006 St. Mary's County Transportation Plan. A proposed bicycle trail system, prioritized sidewalk network and pathways to schools (trails) were recommended as a part of the Plan. Additional funds for recreational trails may be available as part of the Federal Surface Transportation Program through Maryland's Recreational Trails Program. Eligible projects must be approved by the Recreational Trails Advisory Committee and reimbursement for up to 50% of eligible costs is secured through a Memorandum of Understanding administered by the Maryland State Highway Administration. The Federal Highway Administration has published Bicycle Road Safety Audit Guidelines to provide transportation agencies and road safety audit teams with a better understanding of the safety of cyclists in the transportation system.
Bikeway means all facilities that primarily provide for bicycle travel.
........
[1]
# PbSe3I

A PBEsol-optimized structure of PbSe3I (SCAN, the Alexandria database).

- E_form (uncorrected): 0.4457 eV per atom
- Total magnetization: 0.00 μB/atom

a b c (Å): 5.327 5.327 5.327
angles (deg): 90.00 90.00 90.00
Fractional coordinates of all 5 atoms:
Se: 0.000 0.000 0.500
Se: 0.000 0.500 0.000
Se: 0.500 0.000 0.000
Pb: 0.500 0.500 0.500
I: 0.000 0.000 0.000

---

[2]
# YCoW2

A PBEsol-optimized structure of YCoW2 (SCAN, the Alexandria database).

- Energy above the lowest structure with this stoichiometry: 0.2384 eV/atom
- Total magnetization: 0.33 μB/atom
- Calculated formation energy: 0.804 eV per atom

a b c (Å): 2.814 2.814 9.676
angles (deg): 81.64 81.64 60.00
Site moments in Bohr magnetons follow the coordinates.
Fractional coordinates of all 4 atoms:
W: 0.263 0.263 0.211  -0.02
W: 0.737 0.737 0.789  -0.02
Co: 0.000 0.000 0.000  1.40
Y: 0.500 0.500 0.500  0.00

---

[3]
# LaScZn

A PBEsol-optimized structure of LaScZn (SCAN, the Alexandria database).

- Energy above the lowest structure with this stoichiometry: 0.2265 eV/atom
- Total magnetization: 0.00 μB/atom
- Calculated formation energy: 0.001 eV per atom

a b c (Å): 4.858 4.858 4.858
angles (deg): 60.00 60.00 60.00
Fractional coordinates of all 3 atoms:
Sc: 0.500 0.500 0.500
La: 0.000 0.000 0.000
Zn: 0.750 0.750 0.750

---

[4]
# Be2CdBr

A PBEsol-optimized structure of Be2CdBr (SCAN, the Alexandria database).

- Energy above the lowest structure with this stoichiometry: 0.0000 eV/atom
- E_form (uncorrected): 0.2454 eV per atom
- Total magnetization: 0.00 μB/atom

a b c (Å): 3.243 4.548 5.635
angles (deg): 78.26 73.28 69.11
Fractional coordinates of all 4 atoms:
Cd: 0.500 0.000 0.000
Be: 0.159 0.553 0.128
Be: 0.841 0.447 0.872
Br: 0.500 0.500 0.500

---

[5]
# KSiIr2

A PBEsol-optimized structure of KSiIr2 (SCAN, the Alexandria database).

- E_form (uncorrected): 0.0736 eV per atom
- Total magnetization: 0.00 μB/atom

a b c (Å): 2.902 2.902 9.303
angles (deg): 81.03 81.03 60.00
Fractional coordinates of all 4 atoms:
K: 0.500 0.500 0.500
Si: 0.000 0.000 0.000
Ir: 0.730 0.730 0.810
Ir: 0.270 0.270 0.190

---

[6]
# NbBiPd2

A PBEsol-optimized structure of NbBiPd2 (SCAN, the Alexandria database).

- Total magnetization: 0.00 μB/atom
- Calculated formation energy: 0.102 eV per atom

a b c (Å): 5.638 5.927 5.927
angles (deg): 76.93 61.60 61.60
Fractional coordinates of all 8 atoms:
Nb: 0.500 0.000 0.000
Nb: 0.250 0.500 0.500
Pd: 0.875 0.512 0.988
Pd: 0.613 0.012 0.512
Pd: 0.137 0.988 0.488
Pd: 0.375 0.488 0.012
Bi: 0.000 0.000 0.000
Bi: 0.750 0.500 0.500

* * * * *

Entry 1:
Below is Dy4GeRh3 after structural relaxation, with properties calculated at the PBE level.

Cell lengths 3.8322, 4.2603, 10.6257 Å; angles 90.00, 90.00, 90.00 degrees
With the nearest neighbours (Å) after each atom.
Sites, in units of the cell vectors:
1 Ge 0.5000 0.5000 0.0744  2 Rh 2.65, 4 Dy 2.96
2 Dy 0.5000 0.0000 0.6398  7 Rh 2.92-3.09
3 Dy 0.0000 0.0000 0.1443  3 Rh 2.84-3.01, 4 Ge 2.96
........
A Class I Bikeway or Bike Path provides for bicycle travel on a travel-way completely separated from any street or highway travel-way. Bike paths are usually intended to provide opportunities not provided by the road system.
A Class II Bikeway or Bike Lane provides a striped lane for one-way bike travel along a street or highway auto travel lane. Bike lanes are intended to delineate the portion of the right of way assigned to bicycles and automobiles and to provide for more predictable movements by each.
A Class III Bikeway, Shared Roadway, or Bike Route provides for shared use with pedestrian or motor vehicle traffic. These routes are delineated to provide continuity to other bicycle facilities or to designate preferred routes through high demand corridors.
Route Evaluation Study
The Route Evaluation Study is utilized to rate each County-maintained roadway in the County and to help develop a Highways Capital Improvement Program. It was performed to supplement the annual activities performed by both the County Highways and Construction & Inspections Divisions of the Department. As a part of the October 2002 update to the original October 1976 Study, a rating system was developed to more definitively document the condition of each roadway. The evaluation accounted for average daily traffic (ADT), roadway width, available shoulders, signage condition and adequacy, existing functional classification and pavement condition in order to establish a point score (Pavement Rating) for each roadway. Based on the results of the study, a list of roadways that need to be reclassified to either a higher or lower designation has been developed as well as a comprehensive listing of roadways that should be further studied. The identified improvements have been prioritized and incorporated into several capital improvement and pavement management plans.
School Bus Turnarounds
As the public and private school systems continue to add students and revise their respective transportation routes, oftentimes there is a need to either build a permanent turnaround at or utilize a private driveway. Permanent turnarounds and/or upgrades to existing turnarounds at the ends of County roadways are included in the Capital Budget as required. For public school bus transportation, the use of existing residential driveways for mid-block turnaround provisions are coordinated by the Board of Education (BoE). In cases where the use of existing driveways are required in order to adequately turn around, the BoE Transportation Director contacts the individual property owner(s), lists the improvements required and requests signature of a a right-of-entry agreement. The Department of Public Works & Transportation subsequently schedules the work and/or requests funding to perform the work at no cost to the property owner(s).